In my previous post, I explained how a moral hazard outcome can come out even in the absence of explicit agent intentionality to take on more risk. This post will focus on the practical implications of the moral hazard problem in banking. Much of the below is just a restatement of arguments made in my first post that I felt needed to be highlighted. For references and empirical evidence, please refer to the earlier post.

Moral hazard can persist even if the bailout is uncertain. Even a small probability of a partial bailout will reduce the rate of return demanded by bank creditors and this reduction constitutes an increase in firm value. The implication is that there is no partial solution of the moral hazard problem. There must be a credible and time-consistent commitment that under no circumstances will there even be a partial creditor bailout.

In a simple Modigliani-Miller world, the optimal leverage for a bank is therefore infinite. Even without invoking Modigliani-Miller, the argument for this is intuitive. If each incremental unit of debt issued is issued at less than its true economic cost, it adds to firm value. In reality of course, there are many limits to leverage, the most important being regulatory capital requirements.

Increased leverage and a riskier asset portfolio are not substitutable. Most moral hazard explanations of the crisis claim that the implicit/explicit creditor protection from deposit insurance and the TBTF doctrine causes banks to "take on more risk", risk being defined as a combination of higher leverage and a riskier asset portfolio. The above arguments show that risk taken on via increased leverage is distinctly superior to the choice of a riskier asset portfolio - Unlike increased leverage, riskier assets do not include any free lunch component.

Regulatory capital requirements force banks to choose from a continuum of choices with low leverage and risky assets combinations on one side to high leverage and "safe" assets on the other (This argument assumes that off balance sheet vehicles cannot fully remove the regulatory capital constraint). Given that high leverage maximises the moral hazard subsidy, banks are biased to move towards the high leverage, "low risk" combination. The frequent divergence between market risk-reward and ratings-implied risk-reward of course means that riskier assets will still be invested in. But they need to clear a higher hurdle than AAA assets.

High-powered incentives encourage managers/traders to operate under high leverage. Bonuses and equity compensation help align the interests of the owner and the manager.

Risk from an agent's perspective is defined by the skewness of asset returns as well as the volatility. Managers/Traders are motivated to minimise the probability of a negative outcome i.e. maximise negative skew. This tendency is exacerbated in the presence of high-powered incentives. Andrew Lo illustrated this in his example of the Capital Decimation Partners in the context of hedge funds (Hedge fund investors of course do not have an incentive to maximise leverage without limit).

The above is a short explanation of the consequences of moral hazard that explains the key facts of the crisis - high leverage combined with an apparently safe asset portfolio of AAA assets such as super-senior tranches of ABS CDOs. Contrary to conventional wisdom, a moral hazard outcome is characterised by negatively skewed bets, not volatile bets.

The dominance of negatively skewed bets means that it is extremely difficult to detect the outcome of moral hazard by statistical methods. As Nassim Taleb explains here, a large sample size is essential. If the analysis is limited to a "calm" period, the mean as well as the variance of the distribution will be significantly misestimated. Moreover, the problem is exacerbated if one has assumed a symmetric distribution as is often the case. The "low measured variance" is easily misunderstood as a refutation of the moral hazard outcome rather than the confirmation it really represents.


The implications of moral hazard in banking - Viewsflow

[...] A clear, concise and illuminating explanation of how moral hazard operated in the run-up to the crisis.Close [...]


From a (ex-) practitioner's point of view, I can confirm your models expectations in reality. Indeed for all the talk of 'toxic' assets the real damage was all about extraordinary leverage blowing up banks with relatively small (initial) declines in decent assets generating catastrophic results. See my take on Northern Rock from Sept 2007 for example:


Thanks Sean. All of my models are derived from the reality I perceive and I'm glad it corresponds to your perceptions as well!


Financial theory says that rational investors should prefer positive skewness. This is proven under some weak assumptions in "On The Direction of Preference for Moments of Higher Order Than The Variance" by Scott and Horvath (1980) (I can only find it on jstor, behind a wall :(). What's your view on this descrepancy?


Some really interesting writing - but not much on the about page! Adding Macroresilience to my RSS reader but if you are on twitter, that's where I spend more time (harvesting information) now. (Which is how I stumbled across this post.)


Bootvis - I only contend that agents in a principal-agent relationship aim to maximise negative skewness. In this case, the principal can be seen as the owner of a bank and the agent is the manager or trader. Asymmetric information being the prime driver, exacerbated by high-powered incentives. The issue of whether investors who are not agents prefer negative skewness or positive skewness is a much trickier question and deserves a separate post which I'm working on and hopefully will post in the next few days.

_Between two parts of the article: records of crystals_
- - -
Record 1
{
  "formula": "Na5Mn3F14",
  "functional": "PBE with a Hubbard U",
  "state": "relaxed",
  "dft_energy_ev_per_atom": -5.06,
  "polymorph_energy_mev_per_atom": 96,
  "magnetic_moment_mub_per_cell": 48.0,
  "lattice_angstrom": [[-6.415, -5.870, -6.048], [1.189, -8.344, 6.837], [-8.143, 3.295, 5.439]],
  "species": ["Na", "Na", "Na", "Na", "Na", "Na", "Na", "Na", "Na", "Na", "Na", "Na", "Na", "Na", "Na", "Na", "Na", "Na", "Na", "Na", "Mn", "Mn", "Mn", "Mn", "Mn", "Mn", "Mn", "Mn", "Mn", "Mn", "Mn", "Mn", "F", "F", "F", "F", "F", "F", "F", "F", "F", "F", "F", "F", "F", "F", "F", "F", "F", "F", "F", "F", "F", "F", "F", "F", "F", "F", "F", "F", "F", "F", "F", "F", "F", "F", "F", "F", "F", "F", "F", "F", "F", "F", "F", "F", "F", "F", "F", "F", "F", "F", "F", "F", "F", "F", "F", "F"],
  "fractional_positions": [[0.120, 0.479, 0.905], [0.211, 0.298, 0.631], [0.034, 0.783, 0.832], [0.160, 0.878, 0.143], [0.212, 0.539, 0.223], [0.288, 0.961, 0.723], [0.340, 0.622, 0.643], [0.466, 0.717, 0.332], [0.289, 0.202, 0.131], [0.380, 0.021, 0.405], [0.620, 0.521, 0.595], [0.711, 0.702, 0.869], [0.534, 0.217, 0.668], [0.712, 0.461, 0.277], [0.660, 0.122, 0.357], [0.840, 0.378, 0.857], [0.788, 0.039, 0.777], [0.966, 0.283, 0.168], [0.789, 0.798, 0.369], [0.880, 0.979, 0.095], [0.954, 0.523, 0.566], [0.137, 0.754, 0.480], [0.933, 0.655, 0.109], [0.567, 0.845, 0.609], [0.363, 0.746, 0.980], [0.546, 0.977, 0.066], [0.454, 0.477, 0.934], [0.637, 0.246, 0.020], [0.433, 0.345, 0.391], [0.067, 0.155, 0.891], [0.863, 0.254, 0.520], [0.046, 0.023, 0.434], [0.991, 0.503, 0.187], [0.884, 0.024, 0.362], [0.093, 0.053, 0.062], [0.122, 0.287, 0.011], [0.095, 0.145, 0.319], [0.193, 0.036, 0.534], [0.003, 0.361, 0.487], [0.181, 0.779, 0.659], [0.976, 0.132, 0.587], [0.037, 0.316, 0.776], [0.265, 0.650, 0.432], [0.191, 0.882, 0.354], [0.401, 0.828, 0.546], [0.223, 0.143, 0.808], [0.277, 0.357, 0.308], [0.099, 0.672, 0.046], [0.235, 0.850, 0.932], [0.309, 0.618, 0.854], [0.463, 0.184, 0.276], [0.524, 0.368, 0.087], [0.319, 0.721, 0.159], [0.497, 0.139, 0.987], [0.307, 0.464, 0.034], [0.405, 0.355, 0.819], [0.378, 0.213, 0.511], [0.407, 0.447, 0.562], [0.509, 0.997, 0.687], [0.616, 0.476, 0.862], [0.491, 0.497, 0.313], [0.384, 0.976, 0.138], [0.622, 0.713, 0.489], [0.593, 0.947, 0.438], [0.595, 0.855, 0.181], [0.503, 0.639, 0.013], [0.693, 0.964, 0.966], [0.681, 0.221, 0.841], [0.537, 0.684, 0.724], [0.476, 0.868, 0.913], [0.765, 0.350, 0.068], [0.691, 0.118, 0.146], [0.901, 0.172, 0.954], [0.723, 0.857, 0.692], [0.777, 0.643, 0.192], [0.599, 0.328, 0.454], [0.735, 0.150, 0.568], [0.809, 0.382, 0.646], [0.024, 0.632, 0.413], [0.963, 0.816, 0.224], [0.819, 0.279, 0.341], [0.807, 0.536, 0.466], [0.997, 0.861, 0.513], [0.905, 0.645, 0.681], [0.907, 0.553, 0.938], [0.878, 0.787, 0.989], [0.116, 0.524, 0.638], [0.009, 0.003, 0.813]]
}

Record 2
{
  "formula": "Pr2Fe2S2O3",
  "functional": "PBE with a Hubbard U",
  "state": "relaxed",
  "dft_energy_ev_per_atom": -7.00,
- - -
_The records of crystals stop here_

Does Majoritarian Democracy Systematically Result in Moral Hazard and Financial Industry Irresponsibility? « Let A Thousand Nations Bloom

[...] If our best economists knew in 1993, in a widely published article that bankruptcy for profit could occur when government guarantees a firm’s debt obligations, why is it that the U.S. government continue to guarantee debt obligations?  Indeed, not only it continued the guarantees, but it expanded them –  by means of numerous actions supported by both Democratic and Republican Congressmen expanded the scale of its debt obligations through the deliberate growth of Fannie Mae and Freddie Mac.  And note that bankruptcy for profit is merely the most extreme case of moral hazard due to government guarantees; there are plenty of deep moral hazard issues due to government guarantees that could lead to similarly catastrophic outcomes well before we get to the case of outright looters.   (See both Roberts and Macroeconomic Resilience, a brilliant anonymous blogger he cites; see the analysis here,here, and here). [...]

The Public Deposit Option: An Alternative To “Regulate and Insure” Banking at Macroeconomic Resilience

[...] steady stream of profits in good times in exchange for a catastrophic loss in bad times. As I have shown, the moral hazard trade is not a “riskier” trade but a combination of high leverage and a [...]